........
Below is a relaxed Na3Cd4Ag4 crystal, with properties calculated at the PBE level.

## Properties
ΔE_f = -0.039 eV per atom
Total moment = 0.00 μB/f.u.

Unit cell a=4.3018 b=8.3098 c=14.9228 alpha=90.00 beta=90.00 gamma=90.00
Last column: nearest neighbours and their distance in Å.
Space group Immm (No. 71)
Unique sites:
Na 0.0000 0.0000 0.0000 x2  6 Ag 3.38-3.47, 8 Cd 3.74
Na 0.0000 0.5000 0.1208 x4  6 Ag 3.14-3.15, 6 Cd 3.38-3.50
Cd 0.0000 0.3002 0.3275 x8  4 Ag 2.78-2.92
Ag 0.0000 0.0000 0.2263 x4  6 Cd 2.83-2.92, 2 Na 3.14
Ag 0.0000 0.1727 0.5000 x4  2 Cd 2.78, 1 Ag 2.87



Below is a relaxed NaCd9Ag2 crystal, with properties calculated at the PBE level.

## Properties
ΔE_f = -0.036 eV per atom
Total moment = 0.00 μB/f.u.

Unit cell a=9.6815 b=9.6815 c=3.2899 alpha=90.00 beta=90.00 gamma=120.00
Last column: nearest neighbours and their distance in Å.
Space group P6/mmm (No. 191)
Unique sites:
Na 0.0000 0.0000 0.0000 x1  2 Na 3.29, 12 Cd 3.43
Cd 0.0000 0.5000 0.0000 x3  2 Ag 2.79
Cd 0.1794 0.3588 0.5000 x6  8 Cd 3.01-3.29, 2 Ag 3.06
Ag 0.3333 0.6667 0.0000 x2  9 Cd 2.79-3.06



Below is a relaxed Na2Cd6Ag crystal, with properties calculated at the PBE level.

## Properties
ΔE_f = -0.050 eV per atom
Total moment = 0.00 μB/f.u.

Unit cell a=8.7307 b=8.7307 c=3.1529 alpha=90.00 beta=90.00 gamma=120.00
Last column: nearest neighbours and their distance in Å.
Space group P6/mmm (No. 191)
Unique sites:
Na 0.3333 0.6667 0.0000 x2  2 Na 3.15, 12 Cd 3.33
Cd 0.0000 0.3288 0.5000 x6  5 Cd 2.87-3.15
Ag 0.0000 0.0000 0.0000 x1  2 Ag 3.15, 12 Cd 3.27



Below is a relaxed NaCd10Ag3 crystal, with properties calculated at the PBE level.

## Properties
ΔE_f = 0.058 eV per atom
Total moment = 0.00 μB/f.u.

Unit cell a=14.0463 b=14.0463 c=14.0463 alpha=90.00 beta=90.00 gamma=90.00
Last column: nearest neighbours and their distance in Å.
Space group Fm-3m (No. 225)
Unique sites:
Na 0.2500 0.2500 0.2500 x8  4 Cd 3.13
Cd 0.0000 0.1733 0.1733 x48  2 Ag 2.79, 1 Cd 3.05
Cd 0.1215 0.1215 0.3785 x32  3 Ag 2.86, 1 Na 3.13
Ag 0.0000 0.0000 0.2697 x24  8 Cd 2.79-2.86



Below is a relaxed NaCd6Ag5 crystal, with properties calculated at the PBE level.

## Properties
ΔE_f = -0.046 eV per atom
Total moment = 0.00 μB/f.u.

Unit cell a=4.4370 b=8.3612 c=6.8010 alpha=90.00 beta=108.24 gamma=90.00
Last column: nearest neighbours and their distance in Å.
Space group P2/m (No. 10)
Unique sites:
Na 0.0000 0.0000 0.0000 x1  8 Cd 3.05-3.08, 4 Ag 3.10-3.14
Cd 0.1685 0.2554 0.3369 x4  7 Ag 2.96-3.08, 4 Cd 3.04-3.13, 1 Na 3.05
Cd 0.5000 0.2554 0.0000 x2  6 Ag 2.97-3.06, 2 Na 3.08, 4 Cd 3.09-3.13
Ag 0.0000 0.5000 0.0000 x1  8 Cd 2.99-3.02, 4 Ag 3.07-3.11
Ag 0.3304 0.0000 0.6603 x2  8 Cd 2.99-3.08, 2 Ag 3.01-3.06, 2 Na 3.10-3.14
Ag 0.3334 0.5000 0.6675 x2  8 Cd 2.96-3.02, 4 Ag 3.07-3.12



Below is a relaxed Na5Cd4Ag2 crystal, with properties calculated at the PBE level.

## Properties
ΔE_f = -0.004 eV per atom
Total moment = 0.00 μB/f.u.

Unit cell a=5.1111 b=8.7114 c=11.9454 alpha=90.00 beta=90.00 gamma=90.00
Last column: nearest neighbours and their distance in Å.
Space group Immm (No. 71)
Unique sites:
Na 0.0000 0.0000 0.0000 x2  4 Ag 3.02, 4 Na 3.18
Na 0.0000 0.1720 0.2352 x8  4 Na 2.92-3.18, 2 Cd 3.17-3.18, 3 Ag 3.20-3.26
Cd 0.0000 0.2076 0.5000 x4  2 Ag 3.01, 2 Na 3.18
Cd 0.0000 0.5000 0.1205 x4  1 Cd 2.88, 1 Ag 2.93, 2 Na 3.17
Ag 0.0000 0.5000 0.3658 x4  3 Cd 2.93-3.01, 8 Na 3.02-3.26, 1 Ag 3.21



Below is a relaxed Na6Cd2Ag crystal, with properties calculated at the PBE level.

## Properties
ΔE_f = -0.039 eV per atom
Total moment = 0.00 μB/f.u.

Unit cell a=5.4201 b=5.4201 c=31.1824 alpha=90.00 beta=90.00 gamma=120.00
Last column: nearest neighbours and their distance in Å.
Space group R-3m (No. 166, hexagonal axes)
Unique sites:
Na 0.0000 0.0000 0.0784 x6  3 Cd 3.13
Na 0.0000 0.0000 0.1960 x6  3 Ag 3.26, 7 Na 3.49-3.63, 3 Cd 3.65
Na 0.0000 0.0000 0.3081 x6  4 Cd 3.19-3.52, 7 Na 3.49-3.54
Cd 0.0000 0.0000 0.4105 x6  1 Ag 2.79
........

Echo the data above character by character.

Below is a relaxed Na3Cd4Ag4 crystal, with properties calculated at the PBE level.

## Properties
ΔE_f = -0.039 eV per atom
Total moment = 0.00 μB/f.u.

Unit cell a=4.3018 b=8.3098 c=14.9228 alpha=90.00 beta=90.00 gamma=90.00
Last column: nearest neighbours and their distance in Å.
Space group Immm (No. 71)
Unique sites:
Na 0.0000 0.0000 0.0000 x2  6 Ag 3.38-3.47, 8 Cd 3.74
Na 0.0000 0.5000 0.1208 x4  6 Ag 3.14-3.15, 6 Cd 3.38-3.50
Cd 0.0000 0.3002 0.3275 x8  4 Ag 2.78-2.92
Ag 0.0000 0.0000 0.2263 x4  6 Cd 2.83-2.92, 2 Na 3.14
Ag 0.0000 0.1727 0.5000 x4  2 Cd 2.78, 1 Ag 2.87



Below is a relaxed NaCd9Ag2 crystal, with properties calculated at the PBE level.

## Properties
ΔE_f = -0.036 eV per atom
Total moment = 0.00 μB/f.u.

Unit cell a=9.6815 b=9.6815 c=3.2899 alpha=90.00 beta=90.00 gamma=120.00
Last column: nearest neighbours and their distance in Å.
Space group P6/mmm (No. 191)
Unique sites:
Na 0.0000 0.0000 0.0000 x1  2 Na 3.29, 12 Cd 3.43
Cd 0.0000 0.5000 0.0000 x3  2 Ag 2.79
Cd 0.1794 0.3588 0.5000 x6  8 Cd 3.01-3.29, 2 Ag 3.06
Ag 0.3333 0.6667 0.0000 x2  9 Cd 2.79-3.06



Below is a relaxed Na2Cd6Ag crystal, with properties calculated at the PBE level.

## Properties
ΔE_f = -0.050 eV per atom
Total moment = 0.00 μB/f.u.

Unit cell a=8.7307 b=8.7307 c=3.1529 alpha=90.00 beta=90.00 gamma=120.00
Last column: nearest neighbours and their distance in Å.
Space group P6/mmm (No. 191)
Unique sites:
Na 0.3333 0.6667 0.0000 x2  2 Na 3.15, 12 Cd 3.33
Cd 0.0000 0.3288 0.5000 x6  5 Cd 2.87-3.15
Ag 0.0000 0.0000 0.0000 x1  2 Ag 3.15, 12 Cd 3.27



Below is a relaxed NaCd10Ag3 crystal, with properties calculated at the PBE level.

## Properties
ΔE_f = 0.058 eV per atom
Total moment = 0.00 μB/f.u.

Unit cell a=14.0463 b=14.0463 c=14.0463 alpha=90.00 beta=90.00 gamma=90.00
Last column: nearest neighbours and their distance in Å.
Space group Fm-3m (No. 225)
Unique sites:
Na 0.2500 0.2500 0.2500 x8  4 Cd 3.13
Cd 0.0000 0.1733 0.1733 x48  2 Ag 2.79, 1 Cd 3.05
Cd 0.1215 0.1215 0.3785 x32  3 Ag 2.86, 1 Na 3.13
Ag 0.0000 0.0000 0.2697 x24  8 Cd 2.79-2.86



Below is a relaxed NaCd6Ag5 crystal, with properties calculated at the PBE level.

## Properties
ΔE_f = -0.046 eV per atom
Total moment = 0.00 μB/f.u.

Unit cell a=4.4370 b=8.3612 c=6.8010 alpha=90.00 beta=108.24 gamma=90.00
Last column: nearest neighbours and their distance in Å.
Space group P2/m (No. 10)
Unique sites:
Na 0.0000 0.0000 0.0000 x1  8 Cd 3.05-3.08, 4 Ag 3.10-3.14
Cd 0.1685 0.2554 0.3369 x4  7 Ag 2.96-3.08, 4 Cd 3.04-3.13, 1 Na 3.05
Cd 0.5000 0.2554 0.0000 x2  6 Ag 2.97-3.06, 2 Na 3.08, 4 Cd 3.09-3.13
Ag 0.0000 0.5000 0.0000 x1  8 Cd 2.99-3.02, 4 Ag 3.07-3.11
Ag 0.3304 0.0000 0.6603 x2  8 Cd 2.99-3.08, 2 Ag 3.01-3.06, 2 Na 3.10-3.14
Ag 0.3334 0.5000 0.6675 x2  8 Cd 2.96-3.02, 4 Ag 3.07-3.12



Below is a relaxed Na5Cd4Ag2 crystal, with properties calculated at the PBE level.

## Properties
ΔE_f = -0.004 eV per atom
Total moment = 0.00 μB/f.u.

Unit cell a=5.1111 b=8.7114 c=11.9454 alpha=90.00 beta=90.00 gamma=90.00
Last column: nearest neighbours and their distance in Å.
Space group Immm (No. 71)
Unique sites:
Na 0.0000 0.0000 0.0000 x2  4 Ag 3.02, 4 Na 3.18
Na 0.0000 0.1720 0.2352 x8  4 Na 2.92-3.18, 2 Cd 3.17-3.18, 3 Ag 3.20-3.26
Cd 0.0000 0.2076 0.5000 x4  2 Ag 3.01, 2 Na 3.18
Cd 0.0000 0.5000 0.1205 x4  1 Cd 2.88, 1 Ag 2.93, 2 Na 3.17
Ag 0.0000 0.5000 0.3658 x4  3 Cd 2.93-3.01, 8 Na 3.02-3.26, 1 Ag 3.21



Below is a relaxed Na6Cd2Ag crystal, with properties calculated at the PBE level.

## Properties
ΔE_f = -0.039 eV per atom
Total moment = 0.00 μB/f.u.

Unit cell a=5.4201 b=5.4201 c=31.1824 alpha=90.00 beta=90.00 gamma=120.00
Last column: nearest neighbours and their distance in Å.
Space group R-3m (No. 166, hexagonal axes)
Unique sites:
Na 0.0000 0.0000 0.0784 x6  3 Cd 3.13
Na 0.0000 0.0000 0.1960 x6  3 Ag 3.26, 7 Na 3.49-3.63, 3 Cd 3.65
Na 0.0000 0.0000 0.3081 x6  4 Cd 3.19-3.52, 7 Na 3.49-3.54
Cd 0.0000 0.0000 0.4105 x6  1 Ag 2.79